Alberta hoteliers renew calls for Airbnb tax crackdown


Alberta innkeepers say there’s plenty of room to impose taxes on home-share operations, such as Airbnb, to level the playing field in the lodging industry.

On Monday, which marked the deadline for Canadians to file their taxes, the Alberta Hotel and Lodging Association (AHLA) renewed its call for Ottawa to appropriately tax online operators who offer homes for short-term rental.

“It’s tax deadline day for everybody else,” said AHLA President Dave Kaiser.

“While we’ve targeted three layers of government, this is really about the federal piece; about them paying their fair share of this, particularly GST.”

He said many home-share accommodations are never occupied by their owners, who rent the units out year-round. These are scenarios that should be considered taxable businesses.

“They’re commercial operators 365 days of the year and there are people who own multiple units for this purpose,” he said.

Motels and hotels, he added, are taxed 2.5 times more than residential property — a reality being exploited by home shares.

And, he said, such operations also dodge the four per cent provincial hotel levy, which funds tourism promotion.

“They’re getting the benefit of that, but not contributing to it,” said Kaiser.

Countries like Australia, New Zealand and the U.S. are already treating their Airbnb-type operations more like the conventional hotel sector, he added.

A study done for the Alberta Hotel Association a year ago concluded that the short-term rental sector in Calgary could generate $1.3 million in taxes and fees annually.

But with that industry growing by 100 per cent annually, that revenue potential is growing rapidly in a city that counted 3,000 rooms available last December.

A Canada Revenue Agency (CRA) spokesman said home sharers are obligated to pay taxes, but added Ottawa is still working with them to encourage compliance.

/*
This entry pairs a crystal structure of Ho3P4Pd7 with its simulated X-ray powder pattern. Radiation: Cu Kα, 1.54184 Å. Structure: a GGA-PBE-relaxed structure.
Neutral-atom scattering factors, no anomalous dispersion.

Main lines, in order of falling intensity (5° ≤ 2θ ≤ 70°):
| 2theta | Rel. int. | (hkl) |
| --- | --- | --- |
| 36.15 | 100 | 1 1 2 |
| 37.03 | 70 | 5 1 -2 |
| 36.54 | 48 | 6 0 -3 |
| 45.44 | 46 | 0 2 0 |
| 43.43 | 34 | 6 0 0 |
| 38.39 | 30 | 4 0 -4 |
| 39.76 | 25 | 5 1 -3 |
| 37.51 | 21 | 3 1 1 |

Structure:
```
data_Ho3P4Pd7
_cell_length_a 15.3545
_cell_length_b 3.9921
_cell_length_c 9.3846
_cell_angle_alpha 90.00
_cell_angle_beta 125.49
_cell_angle_gamma 90.00
_symmetry_space_group_name_H-M 'C 1 2/m 1'
_symmetry_Int_Tables_number 12
loop_
_symmetry_equiv_pos_as_xyz
'x,y,z'
'-x,-y,-z'
'-x,y,-z'
'x,-y,z'
'x+1/2,y+1/2,z'
'-x+1/2,-y+1/2,-z'
'-x+1/2,y+1/2,-z'
'x+1/2,-y+1/2,z'
loop_
_atom_site_label
_atom_site_fract_x
_atom_site_fract_y
_atom_site_fract_z
_atom_site_occupancy
Ho1 0.0000 0.0000 0.0000 1
Ho2 0.1800 0.5000 0.6769 1
P1 0.1063 0.0000 0.8201 1
P2 0.1593 0.5000 0.2530 1
Pd1 0.0000 0.0000 0.5000 1
Pd2 0.0099 0.5000 0.2839 1
Pd3 0.1678 0.0000 0.4207 1
Pd4 0.1948 0.5000 0.0302 1
```

This entry pairs a crystal structure of Pm2HoP3Rh12 with its simulated X-ray powder pattern. Radiation: Cu Kα, 1.54184 Å. Structure: a GGA-PBE-relaxed structure.
Neutral-atom scattering factors, no anomalous dispersion.

Main lines, in order of falling intensity (5° ≤ 2θ ≤ 70°):
| 2theta | Rel. int. | (hkl) |
| --- | --- | --- |
| 40.01 | 100 | 2 2 0 |
| 36.19 | 32 | 0 2 4 |
| 36.77 | 22 | 0 1 5 |
| 33.41 | 19 | 1 2 2 |
| 42.08 | 18 | 0 0 6 |
| 46.85 | 17 | 1 2 5 |
| 28.73 | 17 | 1 1 3 |
| 20.71 | 16 | 0 0 3 |

Structure:
```
data_Pm2HoP3Rh12
_cell_length_a 9.0132
_cell_length_b 9.0132
_cell_length_c 12.8676
_cell_angle_alpha 90.00
_cell_angle_beta 90.00
_cell_angle_gamma 120.00
_symmetry_space_group_name_H-M 'R -3 m'
_symmetry_Int_Tables_number 166
_symmetry_space_group_name_Hall '-R 3 2"'
loop_
_atom_site_label
_atom_site_fract_x
_atom_site_fract_y
_atom_site_fract_z
_atom_site_occupancy
Pm1 0.0000 0.0000 0.1273 1
Ho1 0.0000 0.0000 0.5000 1
P1 0.0000 0.5000 0.0000 1
Rh1 0.0084 0.5042 0.8266 1
Rh2 0.0295 0.5148 0.3811 1
```

This entry pairs a crystal structure of PrHoPS with its simulated X-ray powder pattern. Radiation: Cu Kα, 1.54184 Å. Structure: a GGA-PBE-relaxed structure.
Neutral-atom scattering factors, no anomalous dispersion.

Main lines, in order of falling intensity (5° ≤ 2θ ≤ 70°):
| 2theta | Rel. int. | (hkl) |
| --- | --- | --- |
| 31.21 | 100 | 1 0 4 |
| 27.00 | 61 | 0 1 2 |
| 44.88 | 36 | 1 1 0 |
| 44.55 | 36 | 0 1 8 |
| 26.75 | 21 | 0 0 6 |
| 53.01 | 20 | 1 1 6 |
| 55.67 | 19 | 0 2 4 |
| 65.09 | 12 | 2 0 8 |

Structure:
```
data_PrHoPS
_cell_length_a 4.0393
_cell_length_b 4.0393
_cell_length_c 19.9992
_cell_angle_alpha 90.00
_cell_angle_beta 90.00
_cell_angle_gamma 120.00
_symmetry_space_group_name_H-M 'R 3 m'
*/

“The CRA has been working on a number of proactive initiatives to ensure that sharing economy participants are aware of their tax obligations and pay their taxes,” Patrick Samson said in a statement.

But in some cases, foreign suppliers who are outside the CRA’s taxation mandate can be involved.

In a statement, Airbnb spokeswoman Lindsey Scully said the company’s participants do pay federal taxes and it is making efforts to ensure its home sharers do just that.

“Airbnb has always been clear — we want to pay our fair share,” said Scully, who called the hotel’s accusations purely about preserving market share. “The big hotels should join Airbnb and focus on creating new and modern rules, instead of engaging in self-interested attacks on everyday Canadians sharing their homes in an attempt to protect their profits.”

The home-share sector’s been compared by some to similarly disruptive ride-sharing companies like Uber, which has also been criticized for not playing by the same regulatory rules as taxis.

Following a number of behaviour complaints from Airbnb neighbours throughout Calgary, city council’s begun moving towards regulating and licensing what some are calling mini hotels.

on Twitter: @BillKaufmannjrn